

== What comes next are molecular data, not part of the page ==
'''
Formula: C43H68BCl2NO20S
Source: OMol25
Level of theory: ωB97M-V/def2-TZVPD

HOMO (eV): -7.75
SMILES: CCCCOc1cc(COC(C)=O)cc2c1Sc1c(CB(O)O)cc([C@@H](Cl)[C@H](C)Cl)cc1N2.CCOC(=O)OC.CCOC(=O)OC.CCOC(=O)OC.CCOC(=O)OC.CCOC(=O)OC

ORCA input file:
```
! wB97M-V def2-TZVPD RIJCOSX def2/J DEFGRID3
* xyz 0 1
C 4.28634 -2.44150 2.87863
C 4.89040 -3.58952 2.04857
C 5.35830 -3.18150 0.63904
C 4.48306 -2.10778 0.02530
O 4.59233 -2.04520 -1.41467
C 3.63546 -2.79293 -2.05834
C 3.90865 -4.09055 -2.47860
C 2.91199 -4.77810 -3.15864
C 3.15766 -6.17267 -3.68039
O 3.07448 -6.19699 -5.13011
C 3.96268 -5.34216 -5.70675
C 3.40481 -4.26642 -6.57592
O 5.13193 -5.48035 -5.54868
C 1.67659 -4.18464 -3.40574
C 1.40054 -2.88133 -2.98841
C 2.40233 -2.19123 -2.31607
S 2.19625 -0.52840 -1.76063
C 0.42609 -0.41093 -1.76051
C -0.15909 0.61029 -1.00002
C 0.72296 1.52682 -0.19167
B 1.01401 0.90812 1.23799
O -0.01888 0.71031 2.10376
O 2.27615 0.56361 1.65851
C -1.53842 0.77089 -0.99791
C -2.34666 -0.07706 -1.75254
C -3.86127 0.11574 -1.75845
Cl -4.17270 1.90660 -1.80128
C -4.55592 -0.56363 -2.93564
C -5.77763 0.16225 -3.50929
Cl -5.06448 -2.21911 -2.44464
C -1.74516 -1.08878 -2.48426
C -0.36123 -1.27911 -2.50184
N 0.12695 -2.34044 -3.31457
H 4.79961 -1.50342 2.69750
H 4.36419 -2.70316 3.93051
H 3.22743 -2.31439 2.66616
H 5.76616 -3.92719 2.60014
H 4.19722 -4.42514 2.00509
H 5.35221 -4.07589 0.02018
H 6.38981 -2.83430 0.65516
H 4.72621 -1.12824 0.41982
H 3.43640 -2.29412 0.26782
H 4.87017 -4.53228 -2.28333
H 4.15490 -6.50224 -3.40551
H 2.39240 -6.85759 -3.33805
H 4.16042 -3.50524 -6.72098
H 3.14433 -4.65868 -7.55526
H 2.53183 -3.81135 -6.11923
H 0.92174 -4.73213 -3.95413
H 1.64262 1.74291 -0.73108
H 0.21874 2.48603 -0.07763
H 0.31320 0.43320 2.96386
H 2.93451 0.96006 1.08183
H -1.94839 1.58071 -0.41809
H -4.25732 -0.21075 -0.80425
H -3.87096 -0.69047 -3.76151
H -6.35268 -0.55570 -4.08277
H -6.37948 0.63355 -2.74439
H -5.41974 0.89417 -4.22877
H -2.35292 -1.76535 -3.06552
H -0.52989 -3.10171 -3.19446
C -3.93884 2.56974 2.03541
C -4.55555 1.23502 1.68975
O -5.10173 0.57734 2.84308
C -6.27654 1.04636 3.25598
O -6.90869 1.93513 2.74385
O -6.64124 0.35747 4.33737
C -7.86426 0.79781 4.93148
H -3.20119 2.46021 2.83166
H -3.45282 3.00265 1.16106
H -4.69564 3.26870 2.38600
H -3.78696 0.56495 1.30450
H -5.32063 1.34349 0.92060
H -8.66636 0.82998 4.19777
H -7.73082 1.77935 5.38382
H -8.10943 0.07508 5.70416
C 8.41495 2.28113 3.99995
C 7.67652 2.16208 5.31584
O 6.39664 2.81058 5.26876
C 5.43597 2.13262 4.64466
O 5.54199 1.03843 4.15211
O 4.32798 2.87339 4.66067
C 3.22549 2.28228 3.96712
H 8.49034 3.32700 3.69965
H 9.41915 1.86745 4.09073
H 7.89272 1.74601 3.20788
H 8.22808 2.67129 6.10378
H 7.55528 1.12137 5.61511
H 3.02927 1.27375 4.32173
H 3.42148 2.27347 2.90342
H 2.35993 2.91014 4.16597
C -3.12506 5.09260 -3.42104
C -3.73563 4.00131 -4.27545
O -4.36780 4.54388 -5.44718
C -3.54353 4.89017 -6.43262
O -2.34619 4.76572 -6.43759
O -4.27647 5.39438 -7.42735
C -3.51256 5.86886 -8.53760
'''


History of Wolf Management in Yellowstone

"Modern wolves and modern humans evolved in the same era. You could probably even say that they co-evolved. So, even though most of you probably have never seen a wild wolf, you know wild wolves in your bones."

-Thomas McNamee, The Return of the Wolf to Yellowstone

• Molecular data that have nothing to do with the text:
........
A 21-piece molecular cluster, C42H126O21 overall. Source: the Open Molecules 2025 dataset; level of theory: wB97M-V/def2-TZVPD.

Structure (ORCA input):
```
! RIJCOSX wB97M-V def2-TZVPD def2/J DEFGRID3
* xyz 0 1
C 4.020 -3.243 -2.245
C 2.700 -2.656 -1.743
O 3.045 -1.318 -1.275
H 3.921 -4.221 -2.733
H 4.705 -3.353 -1.398
H 4.454 -2.492 -2.854
H 2.289 -3.282 -0.975
H 1.990 -2.519 -2.506
H 3.906 -1.223 -0.874
C -2.699 -2.085 3.419
C -1.806 -1.186 2.644
O -0.653 -1.899 2.300
H -3.628 -1.617 3.666
H -2.257 -2.285 4.387
H -2.956 -2.930 2.745
H -1.578 -0.344 3.336
H -2.322 -0.824 1.779
H -0.144 -1.345 1.707
C -4.202 -1.652 -0.304
C -5.309 -1.187 -1.242
O -4.818 -0.220 -2.210
H -4.503 -2.060 0.633
H -3.756 -0.709 0.007
H -3.472 -2.349 -0.839
H -6.094 -0.747 -0.617
H -5.799 -1.996 -1.820
H -4.213 -0.700 -2.774
C 6.420 0.374 -1.896
C 6.741 -0.140 -0.489
O 5.962 -1.291 -0.244
H 7.119 1.226 -2.056
H 5.403 0.666 -1.950
H 6.471 -0.378 -2.702
H 6.412 0.666 0.197
H 7.838 -0.315 -0.280
H 6.511 -1.927 0.256
C -3.567 2.400 2.083
C -4.632 1.364 2.440
O -4.547 1.011 3.817
H -3.532 2.454 0.976
H -2.599 2.171 2.448
H -3.808 3.370 2.525
H -4.583 0.434 1.878
H -5.618 1.853 2.294
H -3.998 1.662 4.330
C 1.132 -6.515 -4.240
C 0.303 -5.448 -3.532
O -1.044 -5.489 -3.952
H 2.124 -6.599 -3.708
H 1.359 -6.328 -5.297
H 0.607 -7.495 -4.101
H 0.783 -4.476 -3.780
H 0.449 -5.427 -2.425
H -1.568 -5.233 -3.204
C 1.373 7.735 4.527
C 0.723 6.345 4.603
O 0.001 6.001 3.421
H 1.992 8.066 5.349
H 0.642 8.477 4.476
H 1.871 7.851 3.555
H -0.114 6.525 5.350
H 1.360 5.539 5.031
H 0.567 5.964 2.608
C 2.705 -0.673 -4.688
C 3.535 0.326 -3.949
O 3.489 1.606 -4.551
H 3.005 -0.690 -5.735
H 1.653 -0.410 -4.649
H 2.847 -1.661 -4.337
H 4.594 -0.081 -3.885
H 3.078 0.351 -2.911
H 3.894 2.269 -3.930
C 0.459 -4.677 6.209
C -0.228 -4.690 4.828
O 0.414 -3.681 4.121
H 0.400 -3.696 6.659
H 1.579 -4.913 6.118
H 0.034 -5.417 6.858
H -1.271 -4.492 5.075
H -0.060 -5.650 4.297
H -0.160 -3.061 3.646
C -0.810 -6.743 0.574
C -0.871 -5.475 1.381
O -1.198 -4.324 0.534
H -0.040 -6.612 -0.220
H -1.705 -6.997 0.073
H -0.517 -7.515 1.209
H 0.134 -5.217 1.801
H -1.554 -5.531 2.238
H -0.933 -3.556 1.077
C -3.457 5.584 4.705
C -2.651 4.369 4.943
O -3.391 3.220 5.431
H -2.833 6.352 4.200
H -3.716 6.041 5.720
H -4.338 5.340 4.136
H -1.850 4.685 5.586
H -2.255 4.089 3.976
H -3.774 3.457 6.293
C -1.112 0.530 -0.821
C -0.134 -0.611 -0.742
O 0.694 -0.468 0.515
H -1.622 0.498 -1.812
H -0.517 1.447 -0.825
H -1.817 0.509 -0.017
H 0.555 -0.635 -1.582
H -0.713 -1.537 -0.639
H 1.671 -0.490 0.197
C 3.658 -2.190 2.844
C 3.256 -3.313 1.893
O 2.822 -4.401 2.692
H 4.283 -1.454 2.339
H 4.173 -2.671 3.726
H 2.828 -1.642 3.267
H 4.123 -3.701 1.311
H 2.481 -2.967 1.257
H 2.070 -4.053 3.159
C 6.260 3.928 -3.772
C 5.559 3.908 -2.423
O 4.316 3.317 -2.579
H 6.314 2.919 -4.226
H 7.261 4.327 -3.779
H 5.709 4.575 -4.444
H 5.515 4.940 -2.067
H 6.139 3.312 -1.694
H 3.775 3.329 -1.778
C -2.398 -2.600 -5.515
C -1.418 -1.892 -4.481
O -2.039 -1.996 -3.172
........

In 1872 Yellowstone National Park was created by an act of congress for the preservation of "natural curiosities or wonders". At that time hunters shot many wolves, coyotes, and large ungulates for meat and skins within the park boundaries. By 1914, an extermination campaign had begun to eliminate all animals that would interfere with agriculture or ranching. The wolf topped that list,and by 1926, wolves that had once reached population levels of up to 136 members, were gone from Yellowstone ecosystem.

<<<
This record from the Open Molecules 2025 dataset describes a molecular structure, C5H8O2 at a distorted geometry. The level of theory is the ωB97M-V functional and the def2-TZVPD basis.

```
15
Properties=species:S:1:pos:R:3:forces:R:3
C -0.69895 -0.46921 -0.95724 0.63 0.58 0.06
H -2.36148 0.40807 -0.32081 0.04 -0.12 0.44
H 0.73674 2.04563 -0.45941 0.24 -0.11 0.00
O -1.89403 0.22032 -1.13338 -1.08 -0.73 -0.14
C -0.24340 -0.07153 1.45114 -0.08 0.36 0.00
H 0.60507 -2.24204 -0.39369 -0.37 -0.21 0.12
O -0.50726 -1.48102 1.29838 -0.06 -0.07 0.04
H 1.63541 0.88546 -1.42990 0.15 0.07 0.13
C -0.01031 -1.42996 -0.01311 0.00 -0.52 -0.17
H 0.52391 0.07784 2.22527 -0.09 0.03 -0.33
H 2.15589 1.24193 0.24796 -0.05 -0.11 -0.05
C 0.31677 0.05552 0.01407 -0.18 0.25 -0.33
H -1.14538 0.48517 1.74572 0.11 -0.01 -0.14
H -0.39974 -0.76248 -1.97160 0.58 0.61 0.41
C 1.29679 1.09975 -0.41362 0.16 -0.02 -0.04
```
Forces are in eV/Å.

Calculated values
molar mass: 100.1 Da
LUMO: 0.81 eV
ΔE to the lowest compared entry with this formula, charge and spin: 76.17 kcal/mol
E: -345.683577 a.u.
net charge: 0
highest occupied orbital energy: -8.9 eV
max |F|: 0.0256 hartree/bohr
HOMO-LUMO gap: 9.72 eV

Results of the Mulliken charge analysis, in e, for atoms 1 through 6:
1 C -0.232
2 H 0.310
3 H 0.310
4 O -0.553
5 C -0.412
6 H 0.342

=====

{
  "formula": "C31H38N7O2PReS",
  "method": "ωB97M-V/def2-TZVPD",
  "lumo_energy_ev": [-5.6251, -6.3268],
  "spin_multiplicity": 2,
  "mol_weight_g_mol": 789.94,
  "orbital_gap_ev": [7.0, 6.5],
  "e_above_lowest_kcal_mol": 10.4,
  "total_charge": 2,
  "symbols": ["Re", "C", "N", "C", "C", "S", "N", "C", "C", "H", "H", "H", "H", "H", "H", "H", "H", "H", "H", "H", "H", "N", "C", "P", "O", "O", "C", "N", "H", "H", "H", "H", "H", "H", "H", "H", "H", "H", "C", "C", "C", "C", "C", "C", "H", "H", "H", "H", "H", "N", "C", "C", "C", "N", "C", "N", "C", "C", "C", "C", "C", "C", "C", "C", "C", "C", "C", "C", "C", "C", "H", "H", "H", "H", "H", "H", "H", "H", "H", "H", "H"],
>>>
• End of the calculated molecules:

For nearly 50 years wolves remained absent from the Yellowstone ecosystem and absent from the public mind. Few people missed the wolf and even fewer advocated its return. Unknowingly, President Nixon opened the door for wolf reintroductions in 1972 by banning key predator poisons on public lands. Shortly thereafter, the EPA extended this mandate to private lands. In 1973 the Endangered Species Act was enacted. Soon thereafter the Rocky Mountain Grey wolf was listed as endangered and a recovery team was established. The door that held the wolves back had begun to creek open.

In 1978, the first official recommendation to reintroduce wolves came from a biologist for the National Park Service. John Weaver claimed that wolves were no longer residents to the Yellowstone ecosystem and should be introduced. At about that time, an organization called Defenders of Wildlife began to get more involved with the reintroduction effort. This organization had been quietly advocating the return of wolves to natural habitats since 1968 but had yet to take a real stand. Things were quickly changing. From here on out Defenders would play a major role in the reintroduction effort.

From 1968-1988 legislation was introduced that would pave the way for wolves to be reintroduced to Yellowstone. Most of these bills did not pass, but they did begin to pique public interest. In 1988 republican Jim McClure wrote in Defenders magazine that he "was interested in trying to restore balance to Yellowstone National Park. The wolf in the only missing piece". McClure stated that as long as wolf reintroduction provided protection for rancher interests he would back the plan. In less than a year, Defenders had established a 100,000 compensation fund to reimburse ranchers for losses due to wolf depredation and 5,000 for any person who lets a wolf successfully breed on their property.

In 1991, Defenders sued Fish and Wildlife to force reintroduction. Congress then voted for a wolf environmental impact statement or EIS and dismissed the lawsuit. Things really began to heat up and Defenders of Wildlife was stoking the fire. The first draft of the wolf EIS was released on July 1, 1994 and public hearings began. These hearings drew positive support and official reintroduction efforts began.

Efforts were temporally stalled by the Wyoming Farm Bureau when a lawsuit was filled that claimed wolf reintroduction would cause "irreparable harm" to ranchers. On January 3, 1995 the lawsuit was denied by U.S. District Judge William Downes in Cheyenne, Wyoming. Wild wolves caught in Alberta, Canada began the shipment process to the United States. On January 9, the Farm Bureau won a temporary stay order from an appellate court in Denver. This did not last long, so on January 12 the wolves that began the shipment process from Alberta more than a week prior, arrived in Yellowstone and were placed in an enclosure that would be home for the next few weeks. This group was made of 14 wolves that comprised three family groups. After being absent from Yellowstone for nearly 70 years, wolves had returned.